30th Sunday in Ordinary Time, Year C

In the Gospel this Sunday, Jesus tells a parable about how we should be when we pray. In the parable, two men go to the Temple to pray. The Temple was the most holy place in all Jerusalem, in all of Israel, because there in the Temple, behind the gold doors of the Tabernacle, was the Holy of Holies. This is where the Torah--the Law--was kept sacred. And God was there in the Word.
One man is a Pharisee. A Pharisee was someone who knew the Law and the Torah so well that he could live life according to the guidelines and rules of scripture.
The other man is a tax collector. Because Rome “owned” Israel, the Roman rulers would collect taxes (money) from the people of Israel, the Jews. They would hire Jews to collect the taxes from their fellow Jews. Some Tax Collectors would keep part of the money they collected for themselves. This was wrong, and so these people were not well liked by the other people of Israel.
Jesus gives us a clue at the end of the parable. Only the tax collector goes away "justified." Only he is in right-relationship with God. Why?
Let's consider the prayer of the Pharisee:

(Attached: quantum chemistry results)
~~~
The following is a quantum chemistry calculation of a 3-piece molecular cluster, C22H34N6O3 overall, from the OMol25 dataset.

Output
Lowest unoccupied orbital energy: 0.0273 hartree
HOMO energy: -8.32 eV

Geometry (Å):
1 C 6.108 -0.942 0.569
2 O 4.802 -0.576 0.187
3 C 4.803 0.281 -0.937
4 C 3.383 0.434 -1.495
5 C 2.481 -0.738 -1.163
6 O 1.115 -0.475 -1.549
7 C 0.308 -0.032 -0.566
8 O 0.670 0.752 0.283
9 N -0.987 -0.546 -0.605
10 C -2.021 0.503 -0.646
11 C -3.029 0.338 0.469
12 C -4.392 0.285 0.203
13 C -5.302 0.104 1.241
14 C -4.845 -0.027 2.543
15 C -3.482 0.036 2.816
16 C -2.576 0.214 1.780
17 C -1.232 -1.700 -1.472
18 C -1.083 -3.035 -0.700
19 N 0.011 -3.045 0.258
20 N -0.746 -4.063 -1.677
21 N -2.357 -3.310 -0.001
22 H 6.780 -0.076 0.593
23 H 6.531 -1.682 -0.119
24 H 6.071 -1.363 1.572
25 H 5.174 1.266 -0.630
26 H 5.490 -0.092 -1.706
27 H 3.436 0.567 -2.577
28 H 2.931 1.344 -1.097
29 H 2.533 -0.986 -0.106
30 H 2.767 -1.624 -1.733
31 H -2.545 0.466 -1.604
32 H -1.538 1.477 -0.565
33 H -4.735 0.380 -0.821
34 H -6.360 0.042 1.022
35 H -5.549 -0.181 3.350
36 H -3.124 -0.064 3.834
37 H -1.509 0.259 1.966
38 H -2.272 -1.652 -1.796
39 H -0.602 -1.718 -2.357
40 H 0.891 -2.976 -0.240
41 H -0.067 -2.263 0.897
42 H -1.557 -4.327 -2.224
43 H -0.420 -4.884 -1.178
44 H -2.197 -3.291 1.001
45 H -2.605 -4.274 -0.193
46 C -9.567 2.146 -1.852
47 C -10.048 1.608 -0.627
48 C -9.310 0.487 -0.356
49 N -8.404 0.329 -1.369
50 C -8.553 1.335 -2.284
51 H -9.925 3.028 -2.356
52 H -10.844 1.999 -0.016
53 H -9.351 -0.206 0.466
54 H -7.733 -0.415 -1.433
55 H -7.927 1.389 -3.158
56 C 8.100 2.687 1.975
57 C 9.212 1.890 2.361
58 C 10.345 2.564 1.990
59 N 9.959 3.735 1.397
60 C 8.594 3.819 1.383
61 H 7.057 2.456 2.116
62 H 9.183 0.933 2.854
63 H 11.385 2.313 2.100
64 H 10.583 4.427 1.026
65 H 8.093 4.671 0.957

Atomic forces in eV per Å
C 0.2 0.1 0.1
O 0.0 -0.1 0.0
C -0.1 0.2 -0.1
C 0.0 0.3 0.2
C 0.2 0.0 -0.2
O -0.1 -0.7 0.3
C -0.1 0.2 0.4
O 0.0 -0.1 -0.1
N 0.4 0.5 -1.3
C -0.4 -0.1 0.6
C 0.0 0.0 0.0
C 0.1 0.0 0.1
C 0.1 -0.1 -0.1
C 0.0 0.0 0.1
C 0.1 0.0 -0.2
C -0.2 0.0 0.0
C -0.4 -0.2 0.2
C 0.0 -0.1 -0.1
N 0.0 -0.1 -0.1
N 0.0 0.0 0.1
N 0.2 -0.2 0.1
H 0.0 0.0 0.0
H 0.0 0.0 0.0
H -0.1 -0.1 0.0
H 0.1 0.0 -0.1
H 0.0 -0.2 0.0
H 0.0 0.0 0.0
H -0.1 -0.1 0.1
H -0.1 0.2 0.0
H 0.0 0.0 0.0
H 0.1 0.0 -0.1
H 0.0 0.0 0.1
H 0.0 0.0 0.0
H 0.0 0.1 0.0
H 0.0 0.0 0.0
H 0.0 0.0 0.0
H 0.0 0.0 0.1
H 0.0 0.0 0.0
H 0.2 0.1 0.1
H 0.0 0.1 0.0
H 0.0 0.1 0.0
H 0.0 0.1 -0.1
H -0.1 0.0 0.0
H -0.1 0.2 0.0
H -0.1 0.0 0.0
C 0.0 0.0 0.0
C 0.0 0.0 0.0
C 0.0 0.0 0.0
N 0.0 0.0 0.0
C 0.0 0.0 0.0
H 0.0 0.0 0.0
H 0.0 0.0 0.0
H 0.0 0.0 0.0
H 0.0 0.0 0.0
H 0.0 0.0 0.0
C 0.0 0.0 0.0
C 0.0 0.0 0.0
C 0.0 0.0 0.0
N 0.0 0.0 0.0
C 0.0 0.0 0.0
H 0.0 0.0 0.0
H 0.0 0.0 0.0
H 0.0 0.0 0.0
H 0.0 0.0 0.0
H 0.0 0.0 0.0

The following is a quantum chemistry calculation of C22H34O36S8 as an isolated structure, from the OMol25 dataset.

Output
Total charge: -2
Lowest unoccupied orbital energy: 0.1100 hartree
HOMO energy: -0.91 eV
~~~

‘God, I thank you that I am not like other people: thieves, rogues, adulterers, or even like this tax collector. I fast twice a week; I give a tenth of all my income.’
It seems like the Pharisee does some good things: he fasts--that's one way to pray; and he gives away a good portion of his money to help people--that's good, too. He seems to be making a list of the good things he has done. I wonder, does God need us to make a list?
The Pharisee begins his prayer with thanks--it is good to thank God, right? Although, I notice that he thanks God for what he is NOT. I wonder if that is true gratitude?
He spends a good deal of his prayer comparing himself to other people, all types of sinners. He notices the tax collector and thanks God that he is not like him.
He notices the tax collector? While he is praying, who are his eyes on?

Let's now consider the prayer of the tax collector:

But the tax collector, standing far off, would not even look up to heaven, but was beating his breast and saying, ‘God, be merciful to me, a sinner!’
First, let's notice what his body is telling us. He stood "far off." He did not approach the Holy of Holies. He would not even look up to heaven, so that means he was looking down. He was beating his breast. That's something people do when they are feeling badly about something they have done.
Let's count the words of his prayer. Only 7 words. What do those words tell us?
We can tell that he knows something about himself. He is a sinner. He has done some things to hurt his relationship with God and with others.
What does he want from God? What does he know about God? God has mercy to give.
So, while he is praying, who are his eyes on?
Remember Jesus' clue. Only the tax collector goes away in right-relationship with God. What does this tell us about what God truly wants from us in prayer?